
Support for NAACP 1st Thursday Town Hall series

(Molecular data that have nothing to do with the text)
-- begin --
1.
Below is 9 unconnected molecules or ions with the total composition C38H69BrN9O10P at a distorted geometry, with properties calculated with wB97M-V/def2-TZVPD.

Computed properties:
total charge = 0
HOMO = -8.12 eV
frontier orbital gap = 7.0 eV
LUMO = -0.03943 Ha

Element x y z (Å)
C (-2.8916, -4.5174, 6.8329)
C (-3.0167, -3.7233, 5.9410)
C (-3.1863, -3.0807, 4.6696)
C (-2.0861, -2.4865, 4.0600)
C (-2.2685, -1.9249, 2.8214)
C (-3.4910, -1.9136, 2.1670)
C (-4.6213, -2.4832, 2.7553)
P (-6.2061, -2.4366, 1.7792)
C (-7.5319, -1.7440, 2.8298)
C (-7.2763, -0.2520, 3.0831)
C (-6.5828, -4.2329, 1.4475)
C (-5.2768, -5.0158, 1.2708)
C (-4.4421, -3.0597, 4.0184)
Br (-5.8658, -3.9101, 4.9134)
C (-3.3042, -1.2393, 0.8340)
O (-4.0957, -0.9861, -0.0195)
N (-1.9104, -0.9075, 0.7490)
C (-1.2539, -1.2682, 1.9522)
O (-0.0959, -1.0700, 2.1794)
H (-2.8362, -5.2543, 7.6042)
H (-1.1191, -2.4705, 4.5401)
H (-7.7022, -2.2422, 3.7831)
H (-8.4573, -1.8626, 2.2623)
H (-7.0149, 0.2466, 2.1536)
H (-6.5483, -0.0938, 3.8776)
H (-8.2163, 0.1794, 3.4318)
H (-7.2253, -4.3038, 0.5757)
H (-7.0781, -4.6155, 2.3406)
H (-4.5228, -4.4517, 0.7186)
H (-5.4437, -5.9249, 0.6938)
H (-4.8778, -5.3105, 2.2395)
H (-1.5715, -1.4124, -0.0668)
C (0.6483, 2.1868, -0.0869)
N (0.5046, 2.4268, -1.5105)
C (-0.4964, 1.6709, -2.2421)
C (1.2683, 3.3163, -2.1690)
O (1.2052, 3.5510, -3.3600)
H (0.9004, 1.1387, 0.0893)
H (-0.2891, 2.4128, 0.4257)
H (1.4354, 2.8162, 0.3239)
H (-0.0250, 1.0910, -3.0369)
H (-1.2201, 2.3467, -2.7002)
H (-1.0109, 0.9988, -1.5586)
H (2.0019, 3.8212, -1.5147)
C (3.5119, 5.4113, -3.7208)
N (3.8822, 6.8233, -3.7690)
C (5.2439, 7.1770, -4.1176)
C (3.0148, 7.8099, -3.5031)
O (3.2812, 9.0007, -3.5270)
H (4.1235, 4.9046, -2.9880)
H (3.6721, 4.9577, -4.6980)
H (2.4692, 5.3085, -3.4510)
H (5.6970, 7.7442, -3.3018)
H (5.2446, 7.8044, -5.0109)
H (5.8236, 6.2758, -4.3026)
H (2.0068, 7.4385, -3.2504)
C (-3.5534, 3.5982, -0.2482)
N (-4.8020, 2.8692, -0.3307)
C (-5.2920, 2.4418, -1.6306)
C (-5.5319, 2.5656, 0.7595)
O (-6.5827, 1.9554, 0.7345)
H (-3.6182, 4.5268, -0.8186)
H (-2.7367, 2.9940, -0.6517)
H (-3.3323, 3.8392, 0.7897)
H (-6.2729, 2.8769, -1.8232)
H (-5.3918, 1.3555, -1.6513)
H (-4.5954, 2.7593, -2.4028)
H (-5.0780, 2.9229, 1.7003)
C (0.9318, -8.8493, 7.4610)
N (-0.4287, -8.4531, 7.7654)
C (-1.5334, -9.2165, 7.2068)
C (-0.7086, -7.3992, 8.5502)
O (-1.8348, -7.0312, 8.8339)
H (1.1037, -8.8088, 6.3838)
H (1.1147, -9.8674, 7.8093)
H (1.6325, -8.1788, 7.9538)
H (-2.1607, -8.5719, 6.5907)
H (-2.1501, -9.6235, 8.0081)
H (-1.1420, -10.0290, 6.6004)
H (0.1910, -6.8840, 8.9256)
C (-5.1998, -1.5725, -2.9761)
N (-5.3979, -2.9880, -3.2246)
C (-5.8013, -3.4442, -4.5430)
C (-5.2178, -3.8973, -2.2501)
O (-5.3670, -5.0988, -2.3794)
H (-6.1279, -1.0264, -3.1594)
H (-4.4186, -1.1775, -3.6309)
H (-4.9016, -1.4375, -1.9392)
H (-6.7526, -3.9738, -4.4828)
H (-5.0577, -4.1322, -4.9469)
H (-5.9031, -2.5887, -5.2058)
H (-4.9184, -3.4395, -1.2913)
C (5.5044, -0.5175, -3.3361)
N (4.8724, 0.7881, -3.3568)
-- stop --

1/18/2019, 6 a.m.
The modern-day NAACP is to be applauded for its creativity in developing the NAACP 1st Thursday Town Hall Meeting Series …

The modern-day NAACP is to be applauded for its creativity in developing the NAACP 1st Thursday Town Hall Meeting Series which began in October. 

Misplaced molecular data
+++
Molecular formula: C31H76BFN21O16P
Method: DFT, the ωB97M-V functional and the def2-TZVPD basis

Each line ends with the Mulliken charge.
CARTESIAN COORDINATES (ANGSTROEM)
C: 1.41040 1.19519 4.82215  -1.142
C: 0.87449 0.20697 3.59631  0.858
F: 0.87782 -1.17384 4.21586  -0.453
C: -0.67689 0.60520 3.09997  -0.813
P: -0.81982 1.08930 1.26460  1.089
C: 0.54115 2.42085 1.44840  -0.492
C: 0.21299 3.55630 2.63904  0.130
C: 0.20238 5.09908 1.98761  -0.132
O: -0.47601 6.06489 2.87869  -0.578
C: -0.66169 -0.75159 0.83003  -0.710
C: -2.02272 -1.66771 1.04967  -0.628
C: -3.14559 -1.49735 -0.14159  0.564
C: -4.16462 -2.79694 -0.14011  -0.820
O: -4.82271 -2.94349 1.16801  -0.321
C: -6.21229 -2.42131 1.02024  0.255
O: -7.11076 -2.77840 1.94163  -0.550
C: -0.91696 1.45530 -0.59036  -0.328
C: 0.34253 1.36855 -1.55685  -0.693
C: 1.70471 0.60851 -1.14720  0.472
O: 2.74014 1.16818 -0.51733  -0.597
N: 1.88788 -0.83591 -1.60972  -0.214
C: 2.93297 -1.57799 -0.81940  0.108
C: 2.39091 -2.72548 0.27059  0.028
C: 3.40245 -3.61923 1.22726  -0.711
C: 5.02255 -3.38596 1.10913  -0.404
C: 5.58865 -2.30491 0.00709  -0.476
C: 4.56176 -1.42944 -0.92879  -0.184
C: -2.57144 1.84765 1.42771  -0.262
B: -3.61230 1.18900 2.48375  0.926
O: -4.65746 0.15314 2.17485  -0.247
O: -3.61071 1.65170 3.91659  -0.645
H: 2.18898 2.00030 4.42536  0.211
H: 2.03914 0.50830 5.56523  0.401
H: 0.54497 1.65536 5.46097  0.216
H: 1.62752 0.12387 2.69962  0.015
H: -1.00917 1.41454 3.88170  0.578
H: -1.27887 -0.38107 3.40578  0.322
H: 1.61867 2.02899 1.66002  0.204
H: 0.65555 3.13408 0.49485  0.440
H: -0.88977 3.42799 3.07276  -0.039
H: 1.03924 3.59287 3.46732  -0.077
H: 1.29366 5.45402 1.68842  0.321
H: -0.44121 5.01260 1.00582  -0.005
H: -1.45137 5.80338 2.90831  0.324
H: -0.40121 -0.97770 -0.31535  0.552
H: 0.19215 -1.34099 1.42152  0.104
H: -1.64569 -2.79832 0.96744  0.483
H: -2.51955 -1.57542 2.09722  0.087
H: -3.68342 -0.45891 -0.16666  -0.273
H: -2.53977 -1.57429 -1.16742  0.248
H: -3.51226 -3.78063 -0.31902  0.319
H: -4.92642 -2.74982 -1.03308  0.348
H: -6.47938 -1.69551 0.13658  0.299
H: -1.77177 0.75144 -1.03933  -0.548
H: -1.37128 2.55671 -0.69189  -0.346
H: -0.01936 0.88759 -2.59036  0.231
H: 0.64917 2.48276 -1.86442  0.371
H: 2.14384 -0.82869 -2.63220  0.414
H: 1.24585 -2.93469 0.38416  0.304
H: 2.89782 -4.38557 1.99101  0.324
H: 5.75766 -3.98090 1.79827  0.387
H: 6.73876 -2.12583 -0.10628  0.346
H: 4.97274 -0.64201 -1.72524  0.246
H: -2.56970 3.02347 1.64120  -0.037
H: -3.09689 1.75825 0.35778  -0.371
H: -4.93025 -0.32794 3.01096  0.220
H: -3.23758 0.90156 4.47142  0.329
C: -9.13748 0.65387 0.11232  0.711
O: -8.49223 0.52866 -0.91646  -0.679
N: -10.19563 1.47856 0.21136  -0.283
N: -8.84805 -0.02156 1.23911  -0.256
H: -10.73924 1.59520 1.04982  0.142
H: -10.44740 2.00597 -0.61436  0.193
H: -8.05853 -0.65330 1.20745  0.039
H: -9.36756 0.06825 2.09601  0.154
C: -3.04473 5.32368 -1.09967  0.603
O: -2.11344 4.66548 -0.66394  -0.517
N: -4.32786 4.93909 -0.97592  -0.329
+++
So much for the molecular data

The events are scheduled on the first Thursday of every month throughout 2019 and are held at 6:30 p.m. at Third Street Bethel AME Church in Downtown.

In conducting regular town hall meetings on the first Thursday of each month, citizens in Central Virginia and other areas are able to get in-depth information and details about the latest news in an unfiltered way. Attendees are also able to express their ideas and opinions about the topics that are being presented.

As an example of topics offered, January’s town hall was the introduction of the Energy From God Bill, HB 1902, that is being discussed in the 2019 Virginia General Assembly. Greatly a creation of NAACP leaders and joined by many others, HB 1902 represents a true win-win for everyone in allowing the use of existing funds derived from overcharging customers of Virginia’s largest utility companies to help propel the widespread use of renewable energy — solar energy — all across Virginia.

If the bill is approved, churches, other religious institutions and public schools, along with certain local governments — particularly in economically hard-hit areas that need help the most — will be able to get grant funding, no repayment needed, to install solar energy systems that will help reduce their monthly power bills.

I urge every pastor, faith leader, congregation member, PTA members, school board members and superintendent across Virginia to call their legislators and tell them to make sure the Energy from God Bill, HB 1902, gets their yes vote when it comes up for consideration.

• Someone pasted molecular data at this point:
┌──
Entry 1:
Below is a molecular structure, C27H26Cl2N8O3PtS, with properties calculated with wB97M-V/def2-TZVPD.

Geometry (Å):
Pt: 1.862 -1.770 0.263
C: 1.181 -2.988 4.317
C: 1.165 -2.780 2.846
N: 2.109 -2.041 2.177
N: 3.200 -1.678 2.867
C: 4.182 -1.061 2.092
N: 5.303 -0.716 2.734
S: 3.946 -0.806 0.397
C: 0.169 -3.231 1.957
C: -0.834 -4.166 2.329
C: -1.793 -4.513 1.432
C: -1.869 -3.830 0.175
C: -0.889 -2.907 -0.164
N: 0.136 -2.723 0.675
H: 2.088 -2.437 4.606
H: 1.330 -4.031 4.617
H: 0.294 -2.565 4.818
H: 5.379 -0.951 3.723
H: 6.100 -0.415 2.180
H: -0.759 -4.632 3.306
H: -2.487 -5.357 1.722
H: -2.628 -4.055 -0.564
H: -1.023 -2.211 -1.024
Cl: 0.174 3.884 1.203
C: -1.169 3.427 2.134
C: -0.908 3.042 3.476
C: -1.913 2.554 4.315
C: -3.217 2.383 3.783
C: -3.521 2.824 2.500
Cl: -5.110 2.532 1.872
C: -2.515 3.417 1.661
N: -2.875 3.913 0.426
C: -2.139 3.911 -0.762
C: -1.459 5.099 -1.152
C: -0.693 5.137 -2.291
C: -0.676 4.001 -3.137
C: -1.381 2.846 -2.813
C: -2.086 2.785 -1.604
C: -2.742 1.492 -1.256
C: -1.678 0.349 -1.114
O: -1.756 -0.529 -2.001
O: -0.819 0.350 -0.199
H: 0.103 3.155 3.824
H: -1.667 2.210 5.320
H: -3.992 1.909 4.357
H: -3.859 4.207 0.372
H: -1.550 5.952 -0.509
H: -0.123 6.050 -2.534
H: -0.056 4.002 -4.012
H: -1.327 1.963 -3.459
H: -3.534 1.189 -1.954
H: -3.226 1.550 -0.260
C: 1.764 -3.496 -4.742
N: 2.135 -2.470 -3.762
C: 2.626 -1.280 -4.239
C: 2.515 -0.118 -3.553
C: 1.843 -0.213 -2.299
N: 1.776 -1.443 -1.725
C: 1.619 -2.573 -2.486
O: 1.066 -3.611 -2.051
N: 1.322 0.862 -1.678
H: 1.109 -3.085 -5.547
H: 1.265 -4.297 -4.208
H: 2.677 -3.950 -5.152
H: 3.209 -1.310 -5.184
H: 2.909 0.840 -3.905
H: 1.059 1.680 -2.263
H: 0.659 0.724 -0.876

Forces on the atoms, in the same order (eV/Å):
Pt 0.419 0.837 1.208
C 0.819 0.525 -0.012
C -2.241 -1.345 -0.645
N 2.600 1.354 0.213
N 0.887 0.708 -1.424
C -2.540 -1.358 0.235
N 0.432 0.143 0.122
S 0.286 0.031 0.447
C -0.428 -0.284 0.620
C 0.357 0.111 0.246
C -0.936 -0.811 -0.481
C 0.115 -0.523 0.471
C -0.683 0.139 0.517
N 0.497 0.685 -0.418
H -0.467 -0.217 0.531
H -0.200 0.068 -0.136
H 0.313 -0.221 -0.249
H 0.133 0.166 -0.647
H -0.338 -0.117 0.545
H -0.121 0.026 -0.093
H 0.645 1.248 -0.614
H -0.119 0.058 0.245
H 0.537 -0.719 0.432
Cl 0.561 0.317 -0.416
C -1.746 -0.792 2.016
C -0.940 0.054 -0.735
C -0.405 -0.180 -1.071
C 0.950 0.559 -0.020
C 1.618 0.175 0.201
Cl -0.042 0.210 -0.061
C 0.544 -0.563 0.171
N -1.602 0.470 0.861
C 1.113 0.489 -1.815
C -0.651 -1.102 0.147
C 0.083 -0.185 -0.731
C 0.043 0.160 0.717
C 0.564 0.709 0.162
C -0.299 0.232 0.220
C -0.158 -0.717 1.716
C -0.586 -0.587 -1.227
O 0.090 -0.126 -0.179
O -0.133 0.863 0.619
H 0.230 -0.102 0.121
H -0.163 0.190 -0.270
H -0.163 -0.072 0.201
H 0.804 -0.461 -0.135
H 0.095 0.276 0.259
H -0.361 -0.642 0.012
H 0.125 0.129 -0.446
H -0.149 0.283 0.247
H 0.516 0.087 -0.066
H 0.188 0.193 -0.465
C 0.325 -0.325 -0.387
N -0.408 0.088 -1.220
C 0.915 0.488 -0.191
C -0.039 -0.225 -0.650
C -0.923 0.571 1.048
N -0.761 0.587 -0.076
C -0.976 -1.674 0.907
O 1.609 2.115 -1.236
└──

In continuing the NAACP’s efforts to be on the cutting edge of public discourse, the Feb. 7 town hall topic will be “How Corporate Money Influences Politics in Virginia.” 

Given all that is going on right now, it promises to be a very hot topic and of great interest to all citizens and voters in our area.

As a longtime NAACP member and past president of the Richmond Branch NAACP, I applaud today’s younger, more progressive NAACP leaders for being forward thinking and truly purposeful in their approach in advocating for the rights of citizens all across Virginia.

Everyone should mark their calendars and plan to attend.



The writer is the state adviser to the Virginia State Conference NAACP’s Youth and College Division.